Uses of Package
Packages that use org.apache.solr.handler.component Package Description Classes for dealing with ZooKeeper when operating in SolrCloud Package related to internal implementations of the SolrCloud collections apiorg.apache.solr.core Core classes implementing Solr internals and the management ofSolrCore
sorg.apache.solr.handler Concrete implementations ofSolrRequestHandler
org.apache.solr.handler.admin.api V2 API implementations for "admin" SearchComponent
implementations for use inSearchHandler
org.apache.solr.request APIs and classes for dealing with Solr requestsorg.apache.solr.response API and implementations ofQueryResponseWriter
for formatting Solr request APIs and classes for parsing and processing search APIs and classes for the JSON Facet Internal classes used to implement distributed result Internal classes used to implement distributed result Internal classes used to implement distributed result Internal classes used to implement distributed result APIs and classes for transforming result grouping results into the appropriate response APIs and Classes implementing the Stats component used for document frequency APIs and classes used by theSpellCheckComponent
### The piece is interrupted by data records
-- begin --
Record 1
Density functional theory data (SCAN) for a crystal of NpScRu2 relaxed with PBEsol.

Results
Calculated formation energy, eV/atom: -0.28
Symmetry: Fm-3m (225)

abc: 4.573 4.573 4.573
angles: 60.00 60.00 60.00
Each line ends with the local moment (μB).
Sites, in units of the cell vectors:
Np: 0.000 0.000 0.000  3.48
Ru: 0.750 0.750 0.750  -0.38
Ru: 0.250 0.250 0.250  -0.38
Sc: 0.500 0.500 0.500  0.13

Record 2
Density functional theory data (SCAN) for a crystal of NpSi2Ru2 relaxed with PBEsol.

Results
Symmetry: I4/mmm (139)

abc: 4.094 4.094 5.578
angles: 111.53 111.53 90.00
Each line ends with the local moment (μB).
Sites, in units of the cell vectors:
Np: 0.000 0.000 0.000  3.64
Ru: 0.750 0.250 0.500  -0.16
Ru: 0.250 0.750 0.500  -0.16
Si: 0.374 0.374 0.747  -0.03
Si: 0.626 0.626 0.253  -0.03

Record 3
Density functional theory data (SCAN) for a crystal of NpS relaxed with PBEsol.

Results
Symmetry: Fm-3m (225)

abc: 3.808 3.808 3.808
angles: 60.00 60.00 60.00
Each line ends with the local moment (μB).
Sites, in units of the cell vectors:
Np: 0.000 0.000 0.000  3.93
S: 0.500 0.500 0.500  -0.14

Record 4
Density functional theory data (SCAN) for a crystal of Np3Se5 relaxed with PBEsol.

Results
Symmetry: Pnma (62)

abc: 7.516 8.127 11.709
angles: 90.00 90.00 90.00
Each line ends with the local moment (μB).
Sites, in units of the cell vectors:
Np: 0.023 0.502 0.320  3.89
Np: 0.477 0.998 0.820  3.89
Np: 0.977 0.002 0.680  3.89
Np: 0.523 0.498 0.180  3.89
Np: 0.977 0.498 0.680  3.89
Np: 0.523 0.002 0.180  3.89
Np: 0.023 0.998 0.320  3.89
Np: 0.477 0.502 0.820  3.89
Np: 0.083 0.250 0.010  3.54
Np: 0.417 0.250 0.510  3.54
Np: 0.917 0.750 0.990  3.54
Np: 0.583 0.750 0.490  3.54
Se: 0.172 0.948 0.094  -0.18
Se: 0.328 0.552 0.594  -0.18
Se: 0.828 0.448 0.906  -0.18
Se: 0.672 0.052 0.406  -0.18
Se: 0.828 0.052 0.906  -0.18
Se: 0.672 0.448 0.406  -0.18
Se: 0.172 0.552 0.094  -0.18
Se: 0.328 0.948 0.594  -0.18
Se: 0.467 0.250 0.999  -0.17
Se: 0.033 0.250 0.499  -0.17
Se: 0.533 0.750 0.001  -0.17
Se: 0.967 0.750 0.501  -0.17
Se: 0.828 0.250 0.188  -0.17
Se: 0.672 0.250 0.688  -0.17
Se: 0.172 0.750 0.812  -0.17
Se: 0.328 0.750 0.312  -0.17
Se: 0.296 0.250 0.278  -0.16
Se: 0.204 0.250 0.778  -0.16
Se: 0.704 0.750 0.722  -0.16
Se: 0.796 0.750 0.222  -0.16

Ordered final energy results: -48.009; -39.885; -59.535; -53.777; unit eV per atom.

~~~~~

VASP calculation (PBE) on crystalline Tl3Cd12Hg5 at its relaxed geometry.

Cell lengths 14.918, 14.918, 14.918 Å; angles 109.47, 109.47, 109.47 degrees
Element x y z (fractional)
1 Tl 0.125 0.250 0.375
2 Tl 0.125 0.375 0.750
3 Tl 0.250 0.375 0.125
4 Tl 0.250 0.875 0.625
5 Tl 0.375 0.125 0.250
6 Tl 0.375 0.750 0.125
7 Tl 0.625 0.250 0.875
8 Tl 0.625 0.875 0.750
9 Tl 0.750 0.125 0.375
10 Tl 0.750 0.625 0.875
11 Tl 0.875 0.625 0.250
12 Tl 0.875 0.750 0.625
13 Cd 0.062 0.228 0.135
14 Cd 0.062 0.334 0.927
15 Cd 0.073 0.635 0.407
16 Cd 0.073 0.938 0.666
17 Cd 0.093 0.728 0.666
18 Cd 0.093 0.865 0.427
-- stop --
org.apache.solr.util Common utility classes used throughout Solr -
Classes in org.apache.solr.handler.component used by Class Description HttpShardHandler HttpShardHandlerFactory ShardHandlerFactory -
Classes in org.apache.solr.handler.component used by Class Description HttpShardHandlerFactory ShardHandler ShardHandlerFactory -
Classes in org.apache.solr.handler.component used by org.apache.solr.core Class Description SearchComponent TODO!ShardHandlerFactory -
[Attached: crystal structures]
____________
1.
Material: Pm6Tm2Mg
Method: DFT, PBE-GGA
State: relaxed Values from VASP.

Geometry as Quantum ESPRESSO input:
```
&SYSTEM
  ibrav = 0, nat = 18, ntyp = 3
/
ATOMIC_SPECIES
Tm 168.93 Tm.upf
Pm 145.00 Pm.upf
Mg 24.30 Mg.upf
ATOMIC_POSITIONS crystal
Tm 0.000 0.670 0.170
Tm 0.500 0.170 0.330
Tm 0.000 0.330 0.830
Tm 0.500 0.830 0.670
Pm 0.000 0.668 0.502
Pm 0.500 0.502 0.332
Pm 0.000 0.002 0.168
Pm 0.500 0.168 0.998
Pm 0.500 0.832 0.002
Pm 0.500 0.498 0.668
Pm 0.000 0.661 0.839
Pm 0.000 0.998 0.832
Pm 0.500 0.161 0.661
Pm 0.000 0.339 0.161
Pm 0.000 0.332 0.498
Pm 0.500 0.839 0.339
Mg 0.500 0.500 0.000
Mg 0.000 0.000 0.500
CELL_PARAMETERS angstrom
5.102 0.000 0.222
0.000 10.675 0.000
-0.464 0.000 10.664
```

Summary:
- formation energy (eV per atom) = 0.0239
- polymorph energy (0 for the lowest one) (meV per atom) = 0
- E (eV/atom) = -4.3141

***

2.
Material: PaSiB2
Method: DFT, PBE-GGA
State: relaxed Values from VASP.

Geometry as Quantum ESPRESSO input:
```
&SYSTEM
  ibrav = 0, nat = 16, ntyp = 3
/
ATOMIC_SPECIES
Si 28.09 Si.upf
Pa 231.04 Pa.upf
B 10.81 B.upf
ATOMIC_POSITIONS crystal
Si 0.250 0.954 0.396
Si 0.250 0.454 0.104
Si 0.750 0.046 0.604
Si 0.750 0.546 0.896
Pa 0.250 0.669 0.636
Pa 0.750 0.831 0.136
Pa 0.750 0.331 0.364
Pa 0.250 0.169 0.864
B 0.250 0.158 0.155
B 0.750 0.707 0.405
B 0.250 0.658 0.345
B 0.750 0.842 0.845
B 0.750 0.207 0.095
B 0.750 0.342 0.655
B 0.250 0.793 0.905
B 0.250 0.293 0.595
CELL_PARAMETERS angstrom
3.127 0.000 0.000
0.000 6.841 0.000
0.000 0.000 9.758
```

Summary:
- polymorph energy (0 for the lowest one) (meV per atom) = 0
- E (eV/atom) = -7.2999

***

3.
Material: MnTcRhSe2
Method: DFT, PBE-GGA
State: relaxed Values from VASP.

Geometry as Quantum ESPRESSO input:
```
&SYSTEM
  ibrav = 0, nat = 5, ntyp = 4
/
ATOMIC_SPECIES
Se 78.96 Se.upf
Mn 54.94 Mn.upf
Rh 102.91 Rh.upf
Tc 98.00 Tc.upf
ATOMIC_POSITIONS crystal
Se 0.000 0.000 0.500
Se 0.500 0.000 0.000
Mn 0.500 0.500 0.500
Rh 0.000 0.000 0.000
Tc 0.000 0.500 0.000
CELL_PARAMETERS angstrom
4.797 0.000 0.000
0.000 4.663 0.000
0.000 0.000 4.797
```

Summary:
- E (eV/atom) = -5.2213

***

4.
Material: GdPuBiTe
Method: DFT, PBE-GGA
State: relaxed Values from VASP.

Geometry as Quantum ESPRESSO input:
```
&SYSTEM
  ibrav = 0, nat = 4, ntyp = 4
/
ATOMIC_SPECIES
Bi 208.98 Bi.upf
Te 127.60 Te.upf
Pu 244.00 Pu.upf
Gd 157.25 Gd.upf
ATOMIC_POSITIONS crystal
Bi 0.750 0.750 0.750
Te 0.250 0.250 0.250
Pu 0.000 0.000 0.000
Gd 0.500 0.500 0.500
CELL_PARAMETERS angstrom
-3.284 1.690 -4.006
-5.403 -0.468 0.526
-3.066 4.452 0.686
```

Summary:
- E (eV/atom) = -9.6645

***

Magnetization
In order: 0.000, 0.000, 0.057, 13.198
Unit: μB per formula unit

----------

DFT (GGA-PBE) results for a relaxed structure of CaReSi4.

```
6
Lattice="0.173 -5.085 0.155 -2.518 -2.740 -3.474 2.569 -2.569 -3.565" Properties=species:S:1:pos:R:3 pbc="T T T"
Si 0.172 -6.459 -2.490
Si 1.388 -5.182 -4.378
Si -1.194 -5.269 -4.331
Si 0.084 -3.878 -2.569
Re 0.000 0.000 0.000
Ca 0.169 -7.795 -5.163
```
____________
Classes in org.apache.solr.handler.component used by org.apache.solr.handler Class Description SearchHandler Refer SOLR-281 -
Classes in org.apache.solr.handler.component used by org.apache.solr.handler.admin.api Class Description ActiveTasksListHandler Handles request for listing all active cancellable tasksQueryCancellationHandler Handles requests for query cancellation for cancellable queries -
Attached: crystal structures =
********
GGA-PBE Sr2HfBAs, relaxed; V = 30.093 Å³ per atom; ΔE_f = 4.27 eV per formula unit; final energy = -20.4 eV for the cell shown; total magnetization = 3.12 μB per cell; symmetry = P4/mmm
1.0
-0.371 3.938 -4.692
2.726 -2.128 -2.001
-4.471 -3.387 -2.490
Sr As B Hf
2 1 1 1
direct
0.000 0.000 0.500
0.500 0.000 0.000
0.000 0.000 0.000
0.000 0.500 0.000
0.500 0.500 0.500
********
Classes in org.apache.solr.handler.component used by org.apache.solr.handler.component Class Description FacetComponent.DistribFieldFacet This API is experimental and subject to changeFacetComponent.FacetBase This API is experimental and subject to changeFacetComponent.FacetContext Encapsulates facet ranges and facet queries such that their parameters are parsed and cached for efficient re-use.FacetComponent.FacetInfo This class is used exclusively for merging results from each shard in a distributed facet request.FacetComponent.FieldFacet This API is experimental and subject to changeFacetComponent.QueryFacet This API is experimental and subject to changeFacetComponent.ShardFacetCount This API is experimental and subject to changeHighlightComponent.HighlightMethod HttpShardHandlerFactory IterativeMergeStrategy.CallBack MergeStrategy The MergeStrategy class defines custom merge logic for distributed searches.PhrasesIdentificationComponent.Phrase Model the data known about a single (candidate) Phrase -- which may or may not be indexedPhrasesIdentificationComponent.PhrasesContextData Simple container for all request options and data this component needs to store in the Request ContextPivotFacet Models a single instance of a "pivot" specified by aFacetParams.FACET_PIVOT
param, which may contain multiple nested fields.PivotFacetField Models a single field somewhere in a hierarchy of fields as part of a pivot facet.PivotFacetFieldValueCollection Emcapsulates a collection ofPivotFacetValue
s associated with aPivotFacetField
withs pecial tracking of aPivotFacetValue
corrisponding to thenull
value whenFacetParams.FACET_MISSING
is used.PivotFacetValue Models a single (value, count) pair that will exist in the collection of values for aPivotFacetField
parent.QueryElevationComponent.ElevatingQuery Query triggering elevation.QueryElevationComponent.Elevation Elevation of some documents in search results, with potential exclusion of others.QueryElevationComponent.ElevationBuilder Builds anQueryElevationComponent.Elevation
.QueryElevationComponent.ElevationProvider Provides the elevations defined for queries.QueryElevationComponent.InitializationExceptionCause QueryElevationComponent.TrieSubsetMatcher Matches a potentially large collection of subsets with a trie implementation.QueryElevationComponent.TrieSubsetMatcher.Builder RangeFacetRequest Encapsulates a single facet.range request along with all its parameters.RangeFacetRequest.FacetRange Represents a single facet range (or gap) for which the count is to be calculatedRealTimeGetComponent.Resolution Lookup strategy for some methods on this class.ResponseBuilder This class is experimental and will be changing in the future.SearchComponent TODO!ShardDoc ShardHandler ShardHandlerFactory ShardRequest ShardResponse SpatialHeatmapFacets.HeatmapFacet StatsField Models all of the information associated with a singleStatsParams.STATS_FIELD
instance.StatsField.HllOptions Helper Struct for parsing and encapsulating all of the options relaed to building aHLL
StatsField.Stat An enumeration representing the sumer set of all possible stat values that can be computed.StatsValues StatsValue defines the interface for the collection of statistical values about fields and facets.TaskManagementHandler Abstract class which serves as the root of all task managing handlers -
Classes in org.apache.solr.handler.component used by org.apache.solr.request Class Description ResponseBuilder This class is experimental and will be changing in the future.StatsField Models all of the information associated with a singleStatsParams.STATS_FIELD
instance.StatsValues StatsValue defines the interface for the collection of statistical values about fields and facets. -
Classes in org.apache.solr.handler.component used by org.apache.solr.response Class Description ResponseBuilder This class is experimental and will be changing in the future. -
Classes in org.apache.solr.handler.component used by Class Description MergeStrategy The MergeStrategy class defines custom merge logic for distributed searches.ResponseBuilder This class is experimental and will be changing in the future. -
Classes in org.apache.solr.handler.component used by Class Description ResponseBuilder This class is experimental and will be changing in the future.SearchComponent TODO!ShardRequest -
Classes in org.apache.solr.handler.component used by Class Description ResponseBuilder This class is experimental and will be changing in the future.ShardRequest -
Classes in org.apache.solr.handler.component used by Class Description ResponseBuilder This class is experimental and will be changing in the future.ShardRequest -
Classes in org.apache.solr.handler.component used by Class Description ResponseBuilder This class is experimental and will be changing in the future.ShardRequest -
Classes in org.apache.solr.handler.component used by Class Description ResponseBuilder This class is experimental and will be changing in the future. -
Classes in org.apache.solr.handler.component used by Class Description ResponseBuilder This class is experimental and will be changing in the future. -
Classes in org.apache.solr.handler.component used by Class Description ResponseBuilder This class is experimental and will be changing in the future.ShardRequest ShardResponse -
Classes in org.apache.solr.handler.component used by org.apache.solr.spelling Class Description ResponseBuilder This class is experimental and will be changing in the future.ShardRequest SpellCheckMergeData -
Classes in org.apache.solr.handler.component used by org.apache.solr.util Class Description ResponseBuilder This class is experimental and will be changing in the future.ShardDoc ShardResponse